## Material
********
An optimized crystal structure of InTcMo2. Source: the Alexandria database, functional PBEsol.

Summary:
**E_tot**: -9.063 eV per atom
**Calculated volume**: 127.4 Å³ per cell

Cell: 5.420 8.303 2.831 Å, 90.00 90.00 90.00°
Space group Cmmm (No. 65)
Asymmetric unit:
In 0.000 0.000 0.000 x2
Tc 0.000 0.500 0.000 x2
Mo 0.250 0.250 0.500 x4


An optimized crystal structure of InTc2Mo. Source: the Alexandria database, functional PBEsol.

Summary:
**E_tot**: -9.059 eV per atom
**Calculated volume**: 125.4 Å³ per cell

Cell: 3.130 4.587 8.735 Å, 90.00 90.00 90.00°
Space group Immm (No. 71)
Asymmetric unit:
In 0.000 0.000 0.000 x2
Tc 0.000 0.500 0.234 x4
Mo 0.000 0.000 0.500 x2


An optimized crystal structure of InTc2Mo. Source: the Alexandria database, functional PBEsol.

Summary:
**E_tot**: -8.894 eV per atom
**Calculated volume**: 250.3 Å³ per cell

Cell: 6.302 6.302 6.302 Å, 90.00 90.00 90.00°
Space group F-43m (No. 216)
Asymmetric unit:
In 0.000 0.000 0.000 x4
Tc 0.000 0.000 0.500 x4
Tc 0.250 0.250 0.750 x4
Mo 0.250 0.250 0.250 x4


An optimized crystal structure of InTeMo2. Source: the Alexandria database, functional PBEsol.

Summary:
**Offset from the most stable computed form**: 0 meV per atom
**E_form (uncorrected)**: 294 meV per atom
**Calculated volume**: 238.1 Å³ per cell

Cell: 3.2453 3.2453 26.1077 Å, 90.00 90.00 120.00°
Space group R3m (No. 160, hexagonal axes)
Asymmetric unit:
In 0.0000 0.0000 0.0000 x3
Te 0.0000 0.0000 0.7681 x3
Mo 0.0000 0.0000 0.2485 x3
Mo 0.0000 0.0000 0.5152 x3


An optimized crystal structure of InTe2Mo. Source: the Alexandria database, functional PBEsol.

Summary:
**E_form (uncorrected)**: 64 meV per atom
**Calculated volume**: 285.6 Å³ per cell

Cell: 3.3126 3.3126 30.0491 Å, 90.00 90.00 120.00°
Space group R3m (No. 160, hexagonal axes)
Asymmetric unit:
In 0.0000 0.0000 0.0000 x3
Te 0.0000 0.0000 0.2476 x3
Te 0.0000 0.0000 0.4663 x3
Mo 0.0000 0.0000 0.7383 x3


An optimized crystal structure of InTe2Mo. Source: the Alexandria database, functional PBEsol.

Summary:
**E_form (uncorrected)**: 127 meV per atom
**Calculated volume**: 94.5 Å³ per cell

Cell: 3.195 3.195 9.263 Å, 90.00 90.00 90.00°
Space group P4mm (No. 99)
Asymmetric unit:
In 0.000 0.000 0.000 x1
Te 0.000 0.000 0.371 x1
Te 0.500 0.500 0.719 x1
Mo 0.500 0.500 0.201 x1


An optimized crystal structure of InTeMo3. Source: the Alexandria database, functional PBEsol.

Summary:
**E_form (uncorrected)**: 2366 meV per atom
**Calculated volume**: 115.9 Å³ per cell

Cell: 4.876 4.876 4.876 Å, 90.00 90.00 90.00°
Space group Pm-3m (No. 221)
Asymmetric unit:
In 0.000 0.000 0.000 x1
Te 0.500 0.500 0.500 x1
Mo 0.000 0.000 0.500 x3


An optimized crystal structure of InTeMo. Source: the Alexandria database, functional PBEsol.

Summary:
**E_form (uncorrected)**: 124 meV per atom
**Calculated volume**: 64.1 Å³ per cell

Cell: 3.3528 3.3528 6.5876 Å, 90.00 90.00 120.00°
Space group P3m1 (No. 156)
Asymmetric unit:
In 0.0000 0.0000 0.0000 x1
Te 0.6667 0.3333 0.4081 x1
Mo 0.3333 0.6667 0.6829 x1


Number 1: density of states at the Fermi level 7.82 states/eV per cell. Number 2: density of states at the Fermi level 6.44 states/eV per cell. Number 3: density of states at the Fermi level 21.20 states/eV per cell. Number 4: density of states at the Fermi level 5.99 states/eV per cell. Number 5: density of states at the Fermi level 7.41 states/eV per cell. Number 6: density of states at the Fermi level 2.46 states/eV per cell. Number 7: density of states at the Fermi level 8.96 states/eV per cell. Number 8: density of states at the Fermi level 2.32 states/eV per cell.
********

## Exercise
Please return all of the data further above without altering anything.

## Completed
An optimized crystal structure of InTcMo2. Source: the Alexandria database, functional PBEsol.

Summary:
**E_tot**: -9.063 eV per atom
**Calculated volume**: 127.4 Å³ per cell

Cell: 5.420 8.303 2.831 Å, 90.00 90.00 90.00°
Space group Cmmm (No. 65)
Asymmetric unit:
In 0.000 0.000 0.000 x2
Tc 0.000 0.500 0.000 x2
Mo 0.250 0.250 0.500 x4


An optimized crystal structure of InTc2Mo. Source: the Alexandria database, functional PBEsol.

Summary:
**E_tot**: -9.059 eV per atom
**Calculated volume**: 125.4 Å³ per cell

Cell: 3.130 4.587 8.735 Å, 90.00 90.00 90.00°
Space group Immm (No. 71)
Asymmetric unit:
In 0.000 0.000 0.000 x2
Tc 0.000 0.500 0.234 x4
Mo 0.000 0.000 0.500 x2


An optimized crystal structure of InTc2Mo. Source: the Alexandria database, functional PBEsol.

Summary:
**E_tot**: -8.894 eV per atom
**Calculated volume**: 250.3 Å³ per cell

Cell: 6.302 6.302 6.302 Å, 90.00 90.00 90.00°
Space group F-43m (No. 216)
Asymmetric unit:
In 0.000 0.000 0.000 x4
Tc 0.000 0.000 0.500 x4
Tc 0.250 0.250 0.750 x4
Mo 0.250 0.250 0.250 x4


An optimized crystal structure of InTeMo2. Source: the Alexandria database, functional PBEsol.

Summary:
**Offset from the most stable computed form**: 0 meV per atom
**E_form (uncorrected)**: 294 meV per atom
**Calculated volume**: 238.1 Å³ per cell

Cell: 3.2453 3.2453 26.1077 Å, 90.00 90.00 120.00°
Space group R3m (No. 160, hexagonal axes)
Asymmetric unit:
In 0.0000 0.0000 0.0000 x3
Te 0.0000 0.0000 0.7681 x3
Mo 0.0000 0.0000 0.2485 x3
Mo 0.0000 0.0000 0.5152 x3


An optimized crystal structure of InTe2Mo. Source: the Alexandria database, functional PBEsol.

Summary:
**E_form (uncorrected)**: 64 meV per atom
**Calculated volume**: 285.6 Å³ per cell

Cell: 3.3126 3.3126 30.0491 Å, 90.00 90.00 120.00°
Space group R3m (No. 160, hexagonal axes)
Asymmetric unit:
In 0.0000 0.0000 0.0000 x3
Te 0.0000 0.0000 0.2476 x3
Te 0.0000 0.0000 0.4663 x3
Mo 0.0000 0.0000 0.7383 x3


An optimized crystal structure of InTe2Mo. Source: the Alexandria database, functional PBEsol.

Summary:
**E_form (uncorrected)**: 127 meV per atom
**Calculated volume**: 94.5 Å³ per cell

Cell: 3.195 3.195 9.263 Å, 90.00 90.00 90.00°
Space group P4mm (No. 99)
Asymmetric unit:
In 0.000 0.000 0.000 x1
Te 0.000 0.000 0.371 x1
Te 0.500 0.500 0.719 x1
Mo 0.500 0.500 0.201 x1


An optimized crystal structure of InTeMo3. Source: the Alexandria database, functional PBEsol.

Summary:
**E_form (uncorrected)**: 2366 meV per atom
**Calculated volume**: 115.9 Å³ per cell

Cell: 4.876 4.876 4.876 Å, 90.00 90.00 90.00°
Space group Pm-3m (No. 221)
Asymmetric unit:
In 0.000 0.000 0.000 x1
Te 0.500 0.500 0.500 x1
Mo 0.000 0.000 0.500 x3


An optimized crystal structure of InTeMo. Source: the Alexandria database, functional PBEsol.

Summary:
**E_form (uncorrected)**: 124 meV per atom
**Calculated volume**: 64.1 Å³ per cell

Cell: 3.3528 3.3528 6.5876 Å, 90.00 90.00 120.00°
Space group P3m1 (No. 156)
Asymmetric unit:
In 0.0000 0.0000 0.0000 x1
Te 0.6667 0.3333 0.4081 x1
Mo 0.3333 0.6667 0.6829 x1


Number 1: density of states at the Fermi level 7.82 states/eV per cell. Number 2: density of states at the Fermi level 6.44 states/eV per cell. Number 3: density of states at the Fermi level 21.20 states/eV per cell. Number 4: density of states at the Fermi level 5.99 states/eV per cell. Number 5: density of states at the Fermi level 7.41 states/eV per cell. Number 6: density of states at the Fermi level 2.46 states/eV per cell. Number 7: density of states at the Fermi level 8.96 states/eV per cell. Number 8: density of states at the Fermi level 2.32 states/eV per cell.